What to do =
Return the data further below unchanged.

Contents =
An optimized crystal structure of HOsRuI2. Source: Alexandria, functional PBE.

Computed properties:
Electronic total energy: -19.09 eV for the cell shown
Spin magnetization: 3.49 μB/f.u.

Cell lengths 5.5267, 5.5267, 4.7588 Å; angles 90.00, 90.00, 90.00 degrees
Last column: nearest neighbours and their distance in Å.
Space group P4/mmm (No. 123)
Symmetry-distinct sites (fractional):
H1 0.0000 0.0000 0.0000  8 I 3.65, 4 Ru 3.91
Os1 0.5000 0.5000 0.5000  2 Ru 2.38
Ru1 0.5000 0.5000 0.0000  2 Os 2.38
I1 0.0000 0.5000 0.5000  2 Os 2.76

* * * * *

[1]
Material: CsMnTc3
Method: DFT, PBE
State: relaxed

Summary:
* E_form: 1.694 eV/atom
* symmetry: Pm-3m, No. 221
* theoretical density: 7.85 g/cm3
* crystal system: cubic
* polymorph energy (0 for the lowest one): 0.000 eV per atom

Cell lengths 4.6717, 4.6717, 4.6717 Å; angles 90.00, 90.00, 90.00 degrees
Each line ends with the local moment (μB).
Atoms (fractional coordinates):
1 Tc 0.0000 0.0000 0.5000  1.10
2 Tc 0.0000 0.5000 0.0000  1.19
3 Tc 0.5000 0.0000 0.0000  0.86
4 Cs 0.5000 0.5000 0.5000  0.10
5 Mn 0.0000 0.0000 0.0000  -0.51

=====

[2]
Material: BaLiCd2Bi
Method: DFT, PBE
State: relaxed

Summary:
* E_form: -0.329 eV/atom
* symmetry: P4/mmm, No. 123
* theoretical density: 6.41 g/cm3
* crystal system: tetragonal

Cell lengths 5.2216, 5.2216, 5.4912 Å; angles 90.00, 90.00, 90.00 degrees
Atoms (fractional coordinates):
1 Ba 0.5000 0.5000 0.5000
2 Cd 0.0000 0.5000 0.0000
3 Cd 0.5000 0.0000 0.0000
4 Bi 0.0000 0.0000 0.5000
5 Li 0.0000 0.0000 0.0000

=====

[3]
Material: Ac7Tl4Pb
Method: DFT, PBE
State: relaxed

Summary:
* E_form: -0.209 eV/atom
* symmetry: C2/m, No. 12
* theoretical density: 9.25 g/cm3
* crystal system: monoclinic

Cell lengths 6.2686, 9.7232, 9.6214 Å; angles 59.56, 70.99, 71.19 degrees
Atoms (fractional coordinates):
1 Pb 0.0000 0.0000 0.0000
2 Ac 0.7179 0.3803 0.1838
3 Ac 0.2821 0.6197 0.8162
4 Ac 0.0726 0.5981 0.2567
5 Ac 0.9274 0.4019 0.7433
6 Ac 0.5000 0.0000 0.0000
7 Tl 0.7124 0.7477 0.8274
8 Ac 0.8385 0.9138 0.4092
9 Tl 0.4503 0.6947 0.4048
10 Tl 0.5497 0.3053 0.5952
11 Tl 0.2876 0.2523 0.1726
12 Ac 0.1615 0.0862 0.5908

=====

[4]
Material: Ag3P2O8
Method: DFT, PBE
State: relaxed

Summary:
* E_form (uncorrected): -1.18 eV per atom
* symmetry: R3, No. 146
* theoretical density: 4.22 g/cm3
* crystal system: trigonal

Cell lengths 5.8948, 5.8948, 5.8948 Å; angles 84.41, 84.41, 84.41 degrees
Atoms (fractional coordinates):
1 O 0.1046 0.8704 0.2386
2 Ag 0.9854 0.5269 0.2478
3 P 0.0219 0.0219 0.0219
4 O 0.8704 0.2386 0.1046
5 Ag 0.5269 0.2478 0.9854
6 P 0.4793 0.4793 0.4793
7 O 0.3040 0.6166 0.6362
8 O 0.8869 0.8869 0.8869
9 O 0.6362 0.3040 0.6166
10 Ag 0.2478 0.9854 0.5269
11 O 0.2386 0.1046 0.8704
12 O 0.6166 0.6362 0.3040
13 O 0.3315 0.3315 0.3315

=====

[5]
Material: Rb2PrCu2Te4
Method: DFT, PBE
State: relaxed

Summary:
* E_form (uncorrected): -0.83 eV per atom
* symmetry: C2/m, No. 12
* theoretical density: 5.25 g/cm3
* crystal system: monoclinic

Cell lengths 4.3758, 8.8715, 8.4603 Å; angles 108.10, 104.99, 90.00 degrees
Atoms (fractional coordinates):
1 Rb 0.8669 0.4492 0.7339
2 Cu 0.3221 0.0130 0.6442
3 Pr 0.0000 0.0000 0.0000
4 Te 0.4746 0.2393 0.9492
5 Cu 0.6779 0.9870 0.3558
6 Rb 0.1331 0.5508 0.2661
7 Te 0.7942 0.8299 0.5883
8 Te 0.5254 0.7607 0.0508
9 Te 0.2058 0.1701 0.4117

=====

[6]
Material: RbSnHg2Au
Method: DFT, PBE
State: relaxed

Worked solution =
An optimized crystal structure of HOsRuI2. Source: Alexandria, functional PBE.

Computed properties:
Electronic total energy: -19.09 eV for the cell shown
Spin magnetization: 3.49 μB/f.u.

Cell lengths 5.5267, 5.5267, 4.7588 Å; angles 90.00, 90.00, 90.00 degrees
Last column: nearest neighbours and their distance in Å.
Space group P4/mmm (No. 123)
Symmetry-distinct sites (fractional):
H1 0.0000 0.0000 0.0000  8 I 3.65, 4 Ru 3.91
Os1 0.5000 0.5000 0.5000  2 Ru 2.38
Ru1 0.5000 0.5000 0.0000  2 Os 2.38
I1 0.0000 0.5000 0.5000  2 Os 2.76

* * * * *

[1]
Material: CsMnTc3
Method: DFT, PBE
State: relaxed

Summary:
* E_form: 1.694 eV/atom
* symmetry: Pm-3m, No. 221
* theoretical density: 7.85 g/cm3
* crystal system: cubic
* polymorph energy (0 for the lowest one): 0.000 eV per atom

Cell lengths 4.6717, 4.6717, 4.6717 Å; angles 90.00, 90.00, 90.00 degrees
Each line ends with the local moment (μB).
Atoms (fractional coordinates):
1 Tc 0.0000 0.0000 0.5000  1.10
2 Tc 0.0000 0.5000 0.0000  1.19
3 Tc 0.5000 0.0000 0.0000  0.86
4 Cs 0.5000 0.5000 0.5000  0.10
5 Mn 0.0000 0.0000 0.0000  -0.51

=====

[2]
Material: BaLiCd2Bi
Method: DFT, PBE
State: relaxed

Summary:
* E_form: -0.329 eV/atom
* symmetry: P4/mmm, No. 123
* theoretical density: 6.41 g/cm3
* crystal system: tetragonal

Cell lengths 5.2216, 5.2216, 5.4912 Å; angles 90.00, 90.00, 90.00 degrees
Atoms (fractional coordinates):
1 Ba 0.5000 0.5000 0.5000
2 Cd 0.0000 0.5000 0.0000
3 Cd 0.5000 0.0000 0.0000
4 Bi 0.0000 0.0000 0.5000
5 Li 0.0000 0.0000 0.0000

=====

[3]
Material: Ac7Tl4Pb
Method: DFT, PBE
State: relaxed

Summary:
* E_form: -0.209 eV/atom
* symmetry: C2/m, No. 12
* theoretical density: 9.25 g/cm3
* crystal system: monoclinic

Cell lengths 6.2686, 9.7232, 9.6214 Å; angles 59.56, 70.99, 71.19 degrees
Atoms (fractional coordinates):
1 Pb 0.0000 0.0000 0.0000
2 Ac 0.7179 0.3803 0.1838
3 Ac 0.2821 0.6197 0.8162
4 Ac 0.0726 0.5981 0.2567
5 Ac 0.9274 0.4019 0.7433
6 Ac 0.5000 0.0000 0.0000
7 Tl 0.7124 0.7477 0.8274
8 Ac 0.8385 0.9138 0.4092
9 Tl 0.4503 0.6947 0.4048
10 Tl 0.5497 0.3053 0.5952
11 Tl 0.2876 0.2523 0.1726
12 Ac 0.1615 0.0862 0.5908

=====

[4]
Material: Ag3P2O8
Method: DFT, PBE
State: relaxed

Summary:
* E_form (uncorrected): -1.18 eV per atom
* symmetry: R3, No. 146
* theoretical density: 4.22 g/cm3
* crystal system: trigonal

Cell lengths 5.8948, 5.8948, 5.8948 Å; angles 84.41, 84.41, 84.41 degrees
Atoms (fractional coordinates):
1 O 0.1046 0.8704 0.2386
2 Ag 0.9854 0.5269 0.2478
3 P 0.0219 0.0219 0.0219
4 O 0.8704 0.2386 0.1046
5 Ag 0.5269 0.2478 0.9854
6 P 0.4793 0.4793 0.4793
7 O 0.3040 0.6166 0.6362
8 O 0.8869 0.8869 0.8869
9 O 0.6362 0.3040 0.6166
10 Ag 0.2478 0.9854 0.5269
11 O 0.2386 0.1046 0.8704
12 O 0.6166 0.6362 0.3040
13 O 0.3315 0.3315 0.3315

=====

[5]
Material: Rb2PrCu2Te4
Method: DFT, PBE
State: relaxed

Summary:
* E_form (uncorrected): -0.83 eV per atom
* symmetry: C2/m, No. 12
* theoretical density: 5.25 g/cm3
* crystal system: monoclinic

Cell lengths 4.3758, 8.8715, 8.4603 Å; angles 108.10, 104.99, 90.00 degrees
Atoms (fractional coordinates):
1 Rb 0.8669 0.4492 0.7339
2 Cu 0.3221 0.0130 0.6442
3 Pr 0.0000 0.0000 0.0000
4 Te 0.4746 0.2393 0.9492
5 Cu 0.6779 0.9870 0.3558
6 Rb 0.1331 0.5508 0.2661
7 Te 0.7942 0.8299 0.5883
8 Te 0.5254 0.7607 0.0508
9 Te 0.2058 0.1701 0.4117

=====

[6]
Material: RbSnHg2Au
Method: DFT, PBE
State: relaxed